Listing.
Record 1
The following is a PBE-GGA calculation of an optimized crystal structure of Na2Si3Sn2Ge2S3O24, from the Materials Project database.

Magnetic moment: 0.00 μB per cell
Energy: -6.411 eV per atom
SG: P1, No. 1

a b c (Å): 8.6848 8.6406 22.5580
angles (deg): 90.36 90.51 119.84
Positions (direct):
Na  0.9798  0.9771  0.4941
Na  0.0018  0.9892  0.9985
Na  0.6550  0.3218  0.8333
Na  0.6774  0.3249  0.3344
Na  0.3161  0.6629  0.1710
Na  0.3510  0.6634  0.6676
Si  0.2975  0.0127  0.2488
Si  0.0064  0.2829  0.2505
Si  0.2885  0.2998  0.7538
Si  0.7174  0.0019  0.7552
Si  0.6643  0.6260  0.5843
Si  0.9390  0.6065  0.0830
Si  0.3301  0.9558  0.9161
Si  0.6399  0.9610  0.4139
Si  0.0443  0.6785  0.4149
Sn  0.9907  0.0010  0.6495
Sn  0.0039  0.9931  0.1481
Sn  0.6569  0.3324  0.6907
Sn  0.6785  0.3444  0.4761
Sn  0.3502  0.6818  0.5141
Sn  0.3219  0.6764  0.3120
Ge  0.0087  0.0070  0.3527
Ge  0.0229  0.0182  0.8494
Ge  0.6898  0.3368  0.1959
Ge  0.6536  0.3290  0.9819
Ge  0.3048  0.6718  0.0201
Ge  0.3579  0.6864  0.8121
S  0.7101  0.7068  0.2496
S  0.0085  0.7145  0.7539
S  0.9622  0.3376  0.5843
S  0.3720  0.0407  0.5838
S  0.6589  0.0404  0.0807
S  0.3790  0.3417  0.0798
S  0.6188  0.6660  0.9190
S  0.0432  0.3790  0.9175
S  0.3281  0.3716  0.4149
O  0.2035  0.0413  0.3066
O  0.8229  0.7863  0.3024
O  0.9657  0.1550  0.3070
O  0.2093  0.1707  0.8111
O  0.9732  0.7959  0.8067
O  0.8404  0.0262  0.8149
O  0.7800  0.9519  0.6944
O  0.1746  0.2170  0.6928
O  0.0405  0.8172  0.6987
O  0.7774  0.8103  0.1939
O  0.0244  0.2059  0.1858
O  0.1810  0.9577  0.1871
O  0.8797  0.3581  0.6392
O  0.4817  0.1149  0.6390
O  0.6372  0.5120  0.6446
O  0.8471  0.4842  0.1413
O  0.6269  0.1149  0.1348
O  0.4841  0.3679  0.1332
O  0.4538  0.3017  0.0248
O  0.8217  0.5156  0.0214
O  0.6869  0.1498  0.0264
O  0.4539  0.1447  0.5306
O  0.6921  0.5346  0.5259
O  0.8498  0.3007  0.5308
O  0.5349  0.6937  0.9722
O  0.1573  0.4562  0.9731
O  0.2923  0.8345  0.9759
O  0.5713  0.8483  0.4756
O  0.2986  0.4456  0.4710
O  0.1564  0.7069  0.4773
O  0.1147  0.6172  0.3585
O  0.5150  0.8720  0.3565
O  0.3620  0.4834  0.3627
O  0.1234  0.4883  0.8651
O  0.3667  0.8605  0.8596
O  0.5087  0.6290  0.8637
O  0.0370  0.8606  0.4051
O  0.8369  0.9879  0.4056
O  0.1662  0.1958  0.4101
O  0.0253  0.1974  0.9137
O  0.1489  0.9739  0.9071
O  0.7975  0.8235  0.9132
O  0.9848  0.1780  0.5871
O  0.1978  0.0308  0.5897
O  0.8483  0.8209  0.5876
O  0.9620  0.8069  0.0850
O  0.8195  0.0215  0.0842
O  0.1974  0.1832  0.0814
O  0.7043  0.1834  0.7486
O  0.4858  0.3227  0.7510
O  0.8498  0.5358  0.7490
O  0.6987  0.5288  0.2425
O  0.8289  0.3080  0.2462
O  0.4911  0.1988  0.2366
O  0.6350  0.4993  0.9237
O  0.8631  0.3595  0.9243
O  0.5111  0.1569  0.9276
O  0.6395  0.1496  0.4224
O  0.4837  0.3469  0.4207
O  0.8437  0.5076  0.4183
O  0.3696  0.5104  0.0710
O  0.1412  0.6281  0.0758
O  0.4975  0.8556  0.0732
O  0.3474  0.8585  0.5811
O  0.4833  0.6409  0.5801
O  0.1361  0.5001  0.5795
O  0.3331  0.8451  0.2509
O  0.5304  0.6789  0.2551
O  0.1851  0.4771  0.2537
O  0.2968  0.4919  0.7660
O  0.1677  0.6957  0.7615
O  0.5171  0.8292  0.7609

Record 2
The following is a PBE-GGA calculation of an optimized crystal structure of Rb3FeS3, from the Materials Project database.

Energy: -4.296 eV per atom
SG: P2_1/c, No. 14

a b c (Å): 13.2115 8.0450 10.5422
angles (deg): 52.63 90.00 90.00
Positions (direct):
Rb  0.9242  0.6459  0.6085
Rb  0.4242  0.3541  0.8915
Rb  0.0758  0.3541  0.3915
Rb  0.5758  0.6459  0.1085
Rb  0.6334  0.6139  0.5188
Rb  0.1334  0.3861  0.9812
Rb  0.3666  0.3861  0.4812
Rb  0.8666  0.6139  0.0188
Rb  0.8084  0.1330  0.5785
Rb  0.3084  0.8670  0.9215
Rb  0.1916  0.8670  0.4215
Rb  0.6916  0.1330  0.0785
Fe  0.5566  0.9370  0.6560
Fe  0.0566  0.0630  0.8440
Fe  0.4434  0.0630  0.3440
Fe  0.9434  0.9370  0.1560
S  0.1057  0.8592  0.1153
S  0.6057  0.1408  0.3847
S  0.8943  0.1408  0.8847
S  0.3943  0.8592  0.6153
S  0.0475  0.8817  0.7453
S  0.5475  0.1183  0.7547

Request.
Your job: reproduce the whole of the notes further above character by character.

Completed.
Record 1
The following is a PBE-GGA calculation of an optimized crystal structure of Na2Si3Sn2Ge2S3O24, from the Materials Project database.

Magnetic moment: 0.00 μB per cell
Energy: -6.411 eV per atom
SG: P1, No. 1

a b c (Å): 8.6848 8.6406 22.5580
angles (deg): 90.36 90.51 119.84
Positions (direct):
Na  0.9798  0.9771  0.4941
Na  0.0018  0.9892  0.9985
Na  0.6550  0.3218  0.8333
Na  0.6774  0.3249  0.3344
Na  0.3161  0.6629  0.1710
Na  0.3510  0.6634  0.6676
Si  0.2975  0.0127  0.2488
Si  0.0064  0.2829  0.2505
Si  0.2885  0.2998  0.7538
Si  0.7174  0.0019  0.7552
Si  0.6643  0.6260  0.5843
Si  0.9390  0.6065  0.0830
Si  0.3301  0.9558  0.9161
Si  0.6399  0.9610  0.4139
Si  0.0443  0.6785  0.4149
Sn  0.9907  0.0010  0.6495
Sn  0.0039  0.9931  0.1481
Sn  0.6569  0.3324  0.6907
Sn  0.6785  0.3444  0.4761
Sn  0.3502  0.6818  0.5141
Sn  0.3219  0.6764  0.3120
Ge  0.0087  0.0070  0.3527
Ge  0.0229  0.0182  0.8494
Ge  0.6898  0.3368  0.1959
Ge  0.6536  0.3290  0.9819
Ge  0.3048  0.6718  0.0201
Ge  0.3579  0.6864  0.8121
S  0.7101  0.7068  0.2496
S  0.0085  0.7145  0.7539
S  0.9622  0.3376  0.5843
S  0.3720  0.0407  0.5838
S  0.6589  0.0404  0.0807
S  0.3790  0.3417  0.0798
S  0.6188  0.6660  0.9190
S  0.0432  0.3790  0.9175
S  0.3281  0.3716  0.4149
O  0.2035  0.0413  0.3066
O  0.8229  0.7863  0.3024
O  0.9657  0.1550  0.3070
O  0.2093  0.1707  0.8111
O  0.9732  0.7959  0.8067
O  0.8404  0.0262  0.8149
O  0.7800  0.9519  0.6944
O  0.1746  0.2170  0.6928
O  0.0405  0.8172  0.6987
O  0.7774  0.8103  0.1939
O  0.0244  0.2059  0.1858
O  0.1810  0.9577  0.1871
O  0.8797  0.3581  0.6392
O  0.4817  0.1149  0.6390
O  0.6372  0.5120  0.6446
O  0.8471  0.4842  0.1413
O  0.6269  0.1149  0.1348
O  0.4841  0.3679  0.1332
O  0.4538  0.3017  0.0248
O  0.8217  0.5156  0.0214
O  0.6869  0.1498  0.0264
O  0.4539  0.1447  0.5306
O  0.6921  0.5346  0.5259
O  0.8498  0.3007  0.5308
O  0.5349  0.6937  0.9722
O  0.1573  0.4562  0.9731
O  0.2923  0.8345  0.9759
O  0.5713  0.8483  0.4756
O  0.2986  0.4456  0.4710
O  0.1564  0.7069  0.4773
O  0.1147  0.6172  0.3585
O  0.5150  0.8720  0.3565
O  0.3620  0.4834  0.3627
O  0.1234  0.4883  0.8651
O  0.3667  0.8605  0.8596
O  0.5087  0.6290  0.8637
O  0.0370  0.8606  0.4051
O  0.8369  0.9879  0.4056
O  0.1662  0.1958  0.4101
O  0.0253  0.1974  0.9137
O  0.1489  0.9739  0.9071
O  0.7975  0.8235  0.9132
O  0.9848  0.1780  0.5871
O  0.1978  0.0308  0.5897
O  0.8483  0.8209  0.5876
O  0.9620  0.8069  0.0850
O  0.8195  0.0215  0.0842
O  0.1974  0.1832  0.0814
O  0.7043  0.1834  0.7486
O  0.4858  0.3227  0.7510
O  0.8498  0.5358  0.7490
O  0.6987  0.5288  0.2425
O  0.8289  0.3080  0.2462
O  0.4911  0.1988  0.2366
O  0.6350  0.4993  0.9237
O  0.8631  0.3595  0.9243
O  0.5111  0.1569  0.9276
O  0.6395  0.1496  0.4224
O  0.4837  0.3469  0.4207
O  0.8437  0.5076  0.4183
O  0.3696  0.5104  0.0710
O  0.1412  0.6281  0.0758
O  0.4975  0.8556  0.0732
O  0.3474  0.8585  0.5811
O  0.4833  0.6409  0.5801
O  0.1361  0.5001  0.5795
O  0.3331  0.8451  0.2509
O  0.5304  0.6789  0.2551
O  0.1851  0.4771  0.2537
O  0.2968  0.4919  0.7660
O  0.1677  0.6957  0.7615
O  0.5171  0.8292  0.7609

Record 2
The following is a PBE-GGA calculation of an optimized crystal structure of Rb3FeS3, from the Materials Project database.

Energy: -4.296 eV per atom
SG: P2_1/c, No. 14

a b c (Å): 13.2115 8.0450 10.5422
angles (deg): 52.63 90.00 90.00
Positions (direct):
Rb  0.9242  0.6459  0.6085
Rb  0.4242  0.3541  0.8915
Rb  0.0758  0.3541  0.3915
Rb  0.5758  0.6459  0.1085
Rb  0.6334  0.6139  0.5188
Rb  0.1334  0.3861  0.9812
Rb  0.3666  0.3861  0.4812
Rb  0.8666  0.6139  0.0188
Rb  0.8084  0.1330  0.5785
Rb  0.3084  0.8670  0.9215
Rb  0.1916  0.8670  0.4215
Rb  0.6916  0.1330  0.0785
Fe  0.5566  0.9370  0.6560
Fe  0.0566  0.0630  0.8440
Fe  0.4434  0.0630  0.3440
Fe  0.9434  0.9370  0.1560
S  0.1057  0.8592  0.1153
S  0.6057  0.1408  0.3847
S  0.8943  0.1408  0.8847
S  0.3943  0.8592  0.6153
S  0.0475  0.8817  0.7453
S  0.5475  0.1183  0.7547